**Wanted:**
Next, search the listing further down for the word "cluster" and echo each line that has it.

**Contents:**
____________
A cluster of 3 separate species, C12H18N3S in total. Source: the Open Molecules 2025 dataset; level of theory: ωB97M-V/def2-TZVPD.

Output
**HOMO energy**: -11.6 eV
**Total charge**: +1
**Orbital gap**: 0.286 Eh
**LUMO energy**: -3.80 eV
**Electronic energy**: -1030.2128 a.u.

Element x y z (Å)
1 H 0.91294 0.18952 0.22377
2 H -3.34573 0.56129 -1.58221
3 C 2.92786 -1.58443 -1.81036
4 H 4.01128 2.47880 4.59151
5 H 1.76775 2.56026 0.26596
6 H -3.19743 0.57974 0.06608
7 C 0.36715 -0.73686 -1.65138
8 S -4.76355 -1.95208 0.14006
9 C -3.20931 -1.31148 -0.79480
10 C 3.58080 3.70154 2.86875
11 C 2.93881 3.71847 1.64092
12 H -6.71767 -2.25443 -1.24771
13 H 2.24890 -2.45978 -3.65176
14 H -2.41391 -1.87540 -0.31293
15 C 1.23428 -0.39990 -0.62546
16 H 3.94118 -1.94497 -1.92414
17 C 2.82408 1.45584 3.12936
18 N 0.71266 -1.46466 -2.71301
19 H 2.95911 4.59414 1.00674
20 H -5.42067 -0.77957 0.14601
21 N -2.98184 0.06627 -0.77766
22 C 1.97734 -1.87320 -2.78161
23 C 2.26726 2.57700 1.22953
24 H -5.22736 -2.84089 -2.03518
25 H -5.99980 -3.79520 -0.74059
26 C -5.79063 -2.79676 -1.10833
27 H 4.11821 4.57082 3.22423
28 H -3.34347 -1.68703 -1.80468
29 C 2.54895 -0.83586 -0.70910
30 N 2.20081 1.46046 1.95232
31 C 3.52322 2.54467 3.62884
32 H 2.76559 0.53765 3.70301
33 H 3.25203 -0.58467 0.07444
34 H -0.66884 -0.41926 -1.62060

Cartesian forces (eV/Å) of the 2 atoms listed first:
H -0.01 -0.03 0.00
H -0.05 -0.06 0.08

For each atom in turn, the Mulliken charge in e is: H 0.57; H 0.24; C -0.39; H 0.36; H 0.36; H 0.26; C -0.58; S 0.13; C -0.46; C -0.16; C -0.69; H 0.34; H 0.37; H 0.39; C -0.26; H 0.38; C -0.26; N -0.58; H 0.36; H 0.23; N -0.46; C -0.23; C 0.03; H 0.32; H 0.31; C -0.72; H 0.38; H 0.43; C -0.38; N -0.29; C -0.49; H 0.38; H 0.43; H 0.69

=====

A structure of composition C24H40As3Br2ClSiTm in a non-equilibrium geometry. Source: the Open Molecules 2025 dataset; level of theory: ωB97M-V/def2-TZVPD.

Output
**2S+1**: 3
**HOMO energy (spin up / spin down)**: -10.8 / -10.8 eV
**Total charge**: +1
**Orbital gap (spin up / spin down)**: 0.306 / 0.307 Eh
**LUMO energy (spin up / spin down)**: -2.48 / -2.45 eV
**Electronic energy**: -14628.6320 a.u.
**Energy relative to the best compared isomer or geometry (same formula, charge and spin)**: 0.0000 eV

Element x y z (Å)
1 H -1.62247 -3.76285 0.02887
2 C 3.22929 2.78639 -0.11694
3 C 0.28509 3.17310 0.27384
4 C 4.63020 -4.36607 1.75805
5 H -2.08027 8.03606 -0.77356
6 H -1.33287 -8.62356 0.72121
7 As -0.79615 6.16507 0.57262
8 H -3.33911 -7.36407 1.49121
9 H 0.81498 2.55853 -3.23650
10 C -1.74805 4.45193 0.88140
11 H -3.21251 -0.60490 1.30095
12 H -2.03625 6.52388 -1.64275
13 H 1.79213 3.87981 -2.56768
14 H -2.48913 4.06712 -1.68869
15 H -2.01495 1.79169 1.36452
16 H 3.40018 3.84575 -0.41088
17 H 3.25268 2.70704 0.97160
18 H -2.16571 1.05472 -3.13567
19 C -1.40912 6.95264 2.24981
20 H -3.42902 -4.89805 1.19215
21 H 1.60392 -5.45019 -2.21791
22 C -2.59735 -5.47725 0.81749
23 H -2.83458 4.62185 0.78835
24 H -4.25702 -0.41733 -0.16165
25 H 0.72210 4.17522 0.23868
26 Cl 0.28846 -2.87050 -2.06610
27 C -1.41719 -7.55828 0.56220
28 Tm 1.07051 -0.84777 -0.04738
29 C -2.13599 6.94891 -0.65006
30 C 1.66073 2.81303 -2.59886
31 As 1.49740 2.06347 -0.76738
32 H -3.68352 1.30149 -2.23240
33 H -3.18500 2.34544 0.10613
34 H -1.20841 2.99967 -2.22861
35 H -3.10111 -1.77520 -0.02779
36 Br -0.15584 -1.44556 2.21319
37 C 3.74874 -4.27040 -0.47636
38 H 5.50591 -4.39639 2.42714
39 C -1.46191 3.74497 -1.49497
40 C -2.83101 0.63317 -2.38539
41 H -0.85745 6.45825 3.07419
42 H 3.89957 -4.34451 -1.53526
43 C -3.27269 -0.72031 0.21655
44 C -0.38897 -6.90657 -0.10596
45 C 3.22632 -0.60857 0.67539
46 As -1.88323 0.36624 -0.67218
47 C 2.43621 -4.35942 0.03038
48 H 2.54201 2.34832 -3.05530
49 H 1.24253 -4.52566 1.84047
50 H -3.10532 6.70463 -0.27371
51 H 3.59048 -1.53490 1.13709
52 H -3.15932 -0.33531 -2.74019
53 C -0.47065 -5.53087 -0.36038
54 H 0.51016 -7.46361 -0.38895
55 C 2.24750 -4.43078 1.42851
56 H 3.85175 0.25140 0.96308
____________

**Outcome:**
A cluster of 3 separate species, C12H18N3S in total. Source: the Open Molecules 2025 dataset; level of theory: ωB97M-V/def2-TZVPD.